Next, restate the listing below word for word.

{
  "formula": "C23H26N4O4S",
  "method": "ωB97M-V/def2-TZVPD",
  "total_charge": 0,
  "relative_energy_kj_mol": 94.95,
  "species": ["C", "O", "C", "C", "C", "C", "C", "C", "C", "N", "C", "S", "N", "C", "C", "C", "C", "O", "N", "C", "C", "N", "C", "C", "O", "C", "C", "C", "C", "C", "C", "O", "H", "H", "H", "H", "H", "H", "H", "H", "H", "H", "H", "H", "H", "H", "H", "H", "H", "H", "H", "H", "H", "H", "H", "H", "H", "H"],
  "positions_angstrom": [[2.95, -8.08, -1.19], [2.51, -6.80, -1.56], [1.21, -6.63, -1.92], [0.30, -7.66, -2.08], [-1.00, -7.39, -2.47], [-1.41, -6.09, -2.70], [-0.50, -5.05, -2.53], [0.80, -5.30, -2.13], [1.77, -4.18, -1.92], [1.14, -3.04, -1.27], [0.77, -3.18, 0.04], [1.03, -4.53, 0.93], [0.15, -2.12, 0.63], [-0.13, -0.93, 0.01], [-0.77, 0.12, 0.67], [-1.03, 1.30, -0.01], [-1.74, 2.44, 0.64], [-2.53, 3.13, 0.04], [-1.40, 2.65, 1.93], [-1.96, 3.72, 2.74], [-0.91, 4.71, 3.24], [-0.80, 5.89, 2.40], [0.04, 6.91, 3.01], [0.03, 8.16, 2.13], [0.51, 7.88, 0.84], [-0.29, 6.89, 0.24], [-0.31, 5.60, 1.06], [-0.67, 1.43, -1.35], [-0.03, 0.40, -2.01], [0.25, -0.79, -1.33], [0.93, -1.89, -2.03], [1.30, -1.83, -3.18], [2.91, -8.78, -2.04], [3.99, -7.97, -0.88], [2.37, -8.48, -0.36], [0.59, -8.68, -1.91], [-1.70, -8.20, -2.59], [-2.42, -5.88, -3.01], [-0.82, -4.03, -2.71], [2.60, -4.53, -1.29], [2.16, -3.81, -2.87], [-0.13, -2.26, 1.60], [-1.07, -0.02, 1.69], [-0.68, 2.10, 2.35], [-2.70, 4.24, 2.12], [-2.47, 3.27, 3.60], [-1.20, 5.06, 4.23], [0.06, 4.19, 3.34], [-0.37, 7.15, 3.99], [1.08, 6.55, 3.13], [0.69, 8.92, 2.55], [-0.99, 8.55, 2.08], [0.14, 6.71, -0.75], [-1.32, 7.25, 0.13], [-0.98, 4.90, 0.57], [0.71, 5.17, 1.09], [-0.91, 2.35, -1.86], [0.26, 0.48, -3.04]]
}

{
  "formula": "C23H26N4O5S",
  "method": "ωB97M-V/def2-TZVPD",
  "total_charge": 0,
  "relative_energy_kj_mol": 67.83,
  "species": ["C", "C", "C", "C", "C", "C", "C", "N", "C", "C", "O", "N", "C", "C", "C", "C", "C", "C", "C", "C", "S", "O", "O", "C", "C", "C", "N", "C", "O", "N", "C", "O", "C", "H", "H", "H", "H", "H", "H", "H", "H", "H", "H", "H", "H", "H", "H", "H", "H", "H", "H", "H", "H", "H", "H", "H", "H", "H", "H"],
  "positions_angstrom": [[-1.89, -2.54, -2.94], [-1.16, -2.30, -1.65], [-0.66, -3.37, -0.91], [0.02, -3.15, 0.27], [0.57, -4.29, 1.07], [0.17, -1.85, 0.75], [-0.34, -0.77, 0.03], [-0.19, 0.54, 0.49], [0.52, 0.81, 1.72], [2.02, 0.59, 1.54], [2.72, 0.12, 2.42], [2.46, 0.97, 0.32], [3.80, 0.94, -0.12], [4.35, 2.12, -0.59], [5.67, 2.15, -1.01], [6.43, 1.00, -0.93], [5.88, -0.20, -0.48], [6.74, -1.43, -0.41], [4.54, -0.24, -0.09], [3.89, -1.53, 0.32], [-1.22, 1.72, -0.08], [-1.19, 2.83, 0.82], [-0.88, 2.00, -1.44], [-2.88, 1.00, -0.01], [-3.84, 1.14, -0.96], [-3.69, 1.88, -2.24], [-5.06, 0.57, -0.75], [-5.43, -0.15, 0.38], [-6.52, -0.63, 0.50], [-4.43, -0.24, 1.31], [-3.15, 0.30, 1.23], [-2.37, 0.16, 2.14], [-0.99, -1.01, -1.18], [-1.43, -3.35, -3.50], [-2.93, -2.81, -2.73], [-1.89, -1.64, -3.55], [-0.79, -4.37, -1.28], [-0.06, -4.49, 1.93], [1.57, -4.05, 1.44], [0.63, -5.19, 0.47], [0.70, -1.70, 1.67], [0.14, 0.20, 2.55], [0.34, 1.86, 1.97], [1.80, 1.49, -0.25], [3.75, 3.02, -0.63], [6.11, 3.06, -1.38], [7.47, 1.02, -1.23], [7.78, -1.18, -0.63], [6.41, -2.17, -1.14], [6.69, -1.88, 0.58], [3.94, -1.63, 1.41], [2.84, -1.53, 0.04], [4.38, -2.38, -0.14], [-2.66, 2.17, -2.40], [-4.31, 2.77, -2.22], [-4.02, 1.26, -3.07], [-5.78, 0.68, -1.45], [-4.65, -0.74, 2.16], [-1.32, -0.18, -1.77]]
}

{
  "formula": "C23H26N4O7S",
  "method": "ωB97M-V/def2-TZVPD",
  "total_charge": 0,
  "relative_energy_kj_mol": 381.82,
  "species": ["C", "O", "C", "C", "C", "C", "C", "N", "N", "C", "N", "C", "O", "C", "C", "C", "C", "S", "O", "O", "N", "C", "C", "C", "C", "C", "C", "O", "C", "C", "O", "C", "O", "C", "C", "H", "H", "H", "H", "H", "H", "H", "H", "H", "H", "H", "H", "H", "H", "H", "H", "H", "H", "H", "H", "H", "H", "H", "H", "H", "H"],

{
  "formula": "C23H26N4O4S",
  "method": "ωB97M-V/def2-TZVPD",
  "total_charge": 0,
  "relative_energy_kj_mol": 94.95,
  "species": ["C", "O", "C", "C", "C", "C", "C", "C", "C", "N", "C", "S", "N", "C", "C", "C", "C", "O", "N", "C", "C", "N", "C", "C", "O", "C", "C", "C", "C", "C", "C", "O", "H", "H", "H", "H", "H", "H", "H", "H", "H", "H", "H", "H", "H", "H", "H", "H", "H", "H", "H", "H", "H", "H", "H", "H", "H", "H"],
  "positions_angstrom": [[2.95, -8.08, -1.19], [2.51, -6.80, -1.56], [1.21, -6.63, -1.92], [0.30, -7.66, -2.08], [-1.00, -7.39, -2.47], [-1.41, -6.09, -2.70], [-0.50, -5.05, -2.53], [0.80, -5.30, -2.13], [1.77, -4.18, -1.92], [1.14, -3.04, -1.27], [0.77, -3.18, 0.04], [1.03, -4.53, 0.93], [0.15, -2.12, 0.63], [-0.13, -0.93, 0.01], [-0.77, 0.12, 0.67], [-1.03, 1.30, -0.01], [-1.74, 2.44, 0.64], [-2.53, 3.13, 0.04], [-1.40, 2.65, 1.93], [-1.96, 3.72, 2.74], [-0.91, 4.71, 3.24], [-0.80, 5.89, 2.40], [0.04, 6.91, 3.01], [0.03, 8.16, 2.13], [0.51, 7.88, 0.84], [-0.29, 6.89, 0.24], [-0.31, 5.60, 1.06], [-0.67, 1.43, -1.35], [-0.03, 0.40, -2.01], [0.25, -0.79, -1.33], [0.93, -1.89, -2.03], [1.30, -1.83, -3.18], [2.91, -8.78, -2.04], [3.99, -7.97, -0.88], [2.37, -8.48, -0.36], [0.59, -8.68, -1.91], [-1.70, -8.20, -2.59], [-2.42, -5.88, -3.01], [-0.82, -4.03, -2.71], [2.60, -4.53, -1.29], [2.16, -3.81, -2.87], [-0.13, -2.26, 1.60], [-1.07, -0.02, 1.69], [-0.68, 2.10, 2.35], [-2.70, 4.24, 2.12], [-2.47, 3.27, 3.60], [-1.20, 5.06, 4.23], [0.06, 4.19, 3.34], [-0.37, 7.15, 3.99], [1.08, 6.55, 3.13], [0.69, 8.92, 2.55], [-0.99, 8.55, 2.08], [0.14, 6.71, -0.75], [-1.32, 7.25, 0.13], [-0.98, 4.90, 0.57], [0.71, 5.17, 1.09], [-0.91, 2.35, -1.86], [0.26, 0.48, -3.04]]
}

{
  "formula": "C23H26N4O5S",
  "method": "ωB97M-V/def2-TZVPD",
  "total_charge": 0,
  "relative_energy_kj_mol": 67.83,
  "species": ["C", "C", "C", "C", "C", "C", "C", "N", "C", "C", "O", "N", "C", "C", "C", "C", "C", "C", "C", "C", "S", "O", "O", "C", "C", "C", "N", "C", "O", "N", "C", "O", "C", "H", "H", "H", "H", "H", "H", "H", "H", "H", "H", "H", "H", "H", "H", "H", "H", "H", "H", "H", "H", "H", "H", "H", "H", "H", "H"],
  "positions_angstrom": [[-1.89, -2.54, -2.94], [-1.16, -2.30, -1.65], [-0.66, -3.37, -0.91], [0.02, -3.15, 0.27], [0.57, -4.29, 1.07], [0.17, -1.85, 0.75], [-0.34, -0.77, 0.03], [-0.19, 0.54, 0.49], [0.52, 0.81, 1.72], [2.02, 0.59, 1.54], [2.72, 0.12, 2.42], [2.46, 0.97, 0.32], [3.80, 0.94, -0.12], [4.35, 2.12, -0.59], [5.67, 2.15, -1.01], [6.43, 1.00, -0.93], [5.88, -0.20, -0.48], [6.74, -1.43, -0.41], [4.54, -0.24, -0.09], [3.89, -1.53, 0.32], [-1.22, 1.72, -0.08], [-1.19, 2.83, 0.82], [-0.88, 2.00, -1.44], [-2.88, 1.00, -0.01], [-3.84, 1.14, -0.96], [-3.69, 1.88, -2.24], [-5.06, 0.57, -0.75], [-5.43, -0.15, 0.38], [-6.52, -0.63, 0.50], [-4.43, -0.24, 1.31], [-3.15, 0.30, 1.23], [-2.37, 0.16, 2.14], [-0.99, -1.01, -1.18], [-1.43, -3.35, -3.50], [-2.93, -2.81, -2.73], [-1.89, -1.64, -3.55], [-0.79, -4.37, -1.28], [-0.06, -4.49, 1.93], [1.57, -4.05, 1.44], [0.63, -5.19, 0.47], [0.70, -1.70, 1.67], [0.14, 0.20, 2.55], [0.34, 1.86, 1.97], [1.80, 1.49, -0.25], [3.75, 3.02, -0.63], [6.11, 3.06, -1.38], [7.47, 1.02, -1.23], [7.78, -1.18, -0.63], [6.41, -2.17, -1.14], [6.69, -1.88, 0.58], [3.94, -1.63, 1.41], [2.84, -1.53, 0.04], [4.38, -2.38, -0.14], [-2.66, 2.17, -2.40], [-4.31, 2.77, -2.22], [-4.02, 1.26, -3.07], [-5.78, 0.68, -1.45], [-4.65, -0.74, 2.16], [-1.32, -0.18, -1.77]]
}

{
  "formula": "C23H26N4O7S",
  "method": "ωB97M-V/def2-TZVPD",
  "total_charge": 0,
  "relative_energy_kj_mol": 381.82,
  "species": ["C", "O", "C", "C", "C", "C", "C", "N", "N", "C", "N", "C", "O", "C", "C", "C", "C", "S", "O", "O", "N", "C", "C", "C", "C", "C", "C", "O", "C", "C", "O", "C", "O", "C", "C", "H", "H", "H", "H", "H", "H", "H", "H", "H", "H", "H", "H", "H", "H", "H", "H", "H", "H", "H", "H", "H", "H", "H", "H", "H", "H"],